It has been said repeatedly that when it comes to the sharing economy, access trumps ownership. Yet questions of ownership are more important today than ever, as millions of people rely on a range of peer to peer platforms for work, knowledge, mobility, media and culture of which they have little to no control over. How can drivers, task runners, freelancers and micro-entrepreneurs generate secure livelihoods and stand-up to the dominant logic inherent in much of the sharing economy that uses Internet platforms to extract value from people and communities? How can the financial interests of people who create value in the new economy be protected and what pathways to collective ownership and democratic governance are available?
These questions framed the opening of an event with Nathan Schneider, journalist, author, co-convenor of the first platform cooperativism conference (NYC) and professor of media studies at the University of Colorado Boulder. Nathan’s visit to Australia was capped off by a workshop in Melbourne Australia on 10th June 2016 called ‘Sharing Value and Ownership for the Common Good: Building the Commons Economy’.
Nathan Schneider began with his keynote on the transformative power of an Internet that we can co-own and co-govern together. From Nathan’s introduction: “we are in a period of transition to a platform society one in which we carry out the economy less from fixed workplaces and more through tools of connection – an infrastructure of online tools that enable us to connect with each other and create value together. We are moving from an economy which has this cool toy called the Internet to the Internet orchestrating this cool toy called the economy. One of the features of it, is continuing a pattern the offline industrial economy has been following in recent years. We’re seeing this continued process in this online platform economy, in which we are increasingly disconnected from the benefits of the very economy we’re creating.”

**Records of molecules, as found in the file**
[1]
ORCA calculation (the ωB97M-V functional and the def2-TZVPD basis) on a cluster of 2 separate species, C31H34N4O2S in total.

Values from the calculation:
- strongest force on any atom (eV/Å) = 1.862
- net charge = 0
- gap between HOMO and LUMO (eV) = 4.319

Geometry as XYZ:
```
72
C31H34N4O2S (the ωB97M-V functional and the def2-TZVPD basis)
S -4.7693 -5.9196 0.3969
O -3.9055 -1.7046 2.7419
O -3.3062 -1.7966 -1.8342
N -4.2945 -3.6300 1.5775
N -3.9927 -3.6790 -0.7441
N 2.4077 1.2494 -5.9847
N -0.4332 1.3444 5.8883
C 0.2311 0.5750 2.3567
C -0.6139 -1.4036 3.4229
C 0.9746 -0.7687 -2.5621
C 0.3896 -0.8623 -0.1557
C 1.5322 -0.7767 -4.9386
C -0.1128 3.4964 4.7060
C 1.9279 0.5786 -4.8583
C -0.7696 -0.7500 7.1570
C -3.9225 -2.2848 1.6588
C 1.0689 -1.4184 -3.8105
C 2.2246 2.6991 -3.5005
C 2.9146 2.6326 -5.9142
C 2.4242 0.6207 -7.3172
C 0.5097 -1.4544 -1.3992
C -0.7225 -0.7260 4.6192
C 1.6372 -1.5137 -6.2488
C 1.3685 0.5811 -2.5161
C -0.3407 0.6351 4.6908
C 0.0627 2.7279 6.0117
C -0.1374 -0.7793 2.2529
C -3.6045 -2.3346 -0.7704
C 0.1392 1.2772 3.5293
C -0.0361 -1.4710 1.0090
C 2.6580 -0.8830 -7.2113
C -1.0179 0.7538 7.1037
C 1.8338 1.2519 -3.6207
C -3.5725 -1.6376 0.4549
C -1.2413 -1.4170 5.8530
C 0.5349 2.7277 3.5486
C 2.1779 3.4351 -4.8464
C -4.3282 -4.3222 0.4068
H -2.0915 0.9691 7.0949
H 3.2363 2.7555 -3.0829
H 3.9863 2.5852 -5.6931
H 0.6102 1.0959 1.4999
H -0.9502 -2.4742 5.8339
H 1.5762 3.1946 -2.7666
H 0.6501 -1.5270 -6.7251
H 3.6744 -1.0650 -6.8402
H 0.2406 -2.4904 -1.4924
H -4.5410 -4.0929 2.4468
H -0.3028 -2.5125 0.9780
H -2.3368 -1.4100 5.8179
H 1.8888 -2.5641 -6.0598
H 2.6184 -1.3517 -8.2048
H 0.6480 0.1754 -0.0934
H 0.7668 -2.4465 -3.8827
H 2.8169 3.0945 -6.9026
H -0.6003 1.2633 7.9786
H -0.9127 -2.4356 3.3769
H 1.6264 2.7907 3.6218
H 0.2804 3.1888 2.5853
H -1.2613 -1.1912 8.0346
H 1.3158 1.1193 -1.5896
H 2.5942 4.4480 -4.7634
H -1.1831 3.6226 4.5032
H -3.2766 -0.6037 0.4679
H -0.4606 3.2183 6.8385
H 1.4609 0.8287 -7.7951
H -4.0160 -4.1686 -1.6335
H 3.1917 1.1066 -7.9298
H 0.2978 4.5114 4.7891
H 1.1203 2.6790 6.2910
H 1.1334 3.5672 -5.1538
H 0.3026 -0.9338 7.2977
```


[2]
ORCA calculation (the ωB97M-V functional and the def2-TZVPD basis) on an isolated molecule of C31H34O5.

Values from the calculation:
- strongest force on any atom (eV/Å) = 3.562
- structure (SMILES) = CCCCC(C(=O)OCC)(C(=O)OCC)C1(c2ccc(OC)cc2)c2ccccc2-c2ccccc21
- net charge = 0
- energy relative to the best compared isomer or geometry (same formula, charge and spin) (eV) = 0.000
- gap between HOMO and LUMO (eV) = 8.756

Geometry as XYZ:
```
70
C31H34O5 (the ωB97M-V functional and the def2-TZVPD basis)
O -0.8144 0.3563 -3.2060
O -3.8639 -0.0689 4.0428
O 2.6221 0.7300 -1.0616
O -1.6905 1.8049 -1.7424
O 1.6429 -0.3978 -2.7254
C -1.2123 -0.6822 0.8517
C 1.5362 -2.5286 -0.6306
C 2.9598 -2.2275 1.6933
C 0.2027 0.4636 -0.9428
C 4.9851 1.0065 -0.9445
C 0.4315 -3.6325 -2.6741
C 1.8558 -1.3860 1.4629
C -0.9189 0.0837 1.9734
C 1.5321 0.2190 -1.6837
C 3.3580 -3.1854 0.7537

Sharing Value and Ownership for the Common Good, Church of All Nations, Melbourne Australia.
Nathan continues: “In the wake of the economic crisis there’s been this urge to share, the sharing economy. Wouldn’t we all love to share the stuff that we all have too much of, like cars and housing and all this stuff. This energised a lot of young people to take part in a positive new economy. But then, there started to be some cracks. We start to see workers with very little security in the context of what’s called a ‘sharing economy’. We start to realize that what we’re doing is not so much sharing as micro-rental all the time and that nothing is being shared in this process. Instead the profits are being directed to a very centralized organization. And these companies in the so-called sharing economy have a shocking disregard for the public good. We have a choice between this really positive vision of the liberated freelancer, people who control their working hours and don’t have to have the same job to control their security for the rest of their life. But then there’s also this vision of the precariat, who loses control over work and has to deal with a completely unaccountable global corporation that has no interest in their interest.”

Nathan Schneider asks: “what can we say yes to?”
Nathan on the cooperative platform economy: “This leaves us with a question. There’s lots of good stuff and there’s lots of bad stuff. So what can we say yes to? In a lot of cities around the world it often feels like those in government have to say no to this emerging platform economy and they don’t seem to have a lot of choices about what they can say yes to, what they can encourage. One of the ways to think about what we’re doing when we talk about a cooperative online economy is creating a choice, a choice that’s actually worth having. What if there were a real sharing economy? Fortunately there are some pretty good precedents to draw on. Alongside the development of industrial capitalism has been this vision of a cooperative economy, and practice of a cooperative economy, that has thrived around the world in many industries through open membership, democratic control and ownership, shared profits, autonomy, and a deep concern for community. This is a tradition that has spread and I think more than many of us even recognize because it’s not something that we learn about in school very often, or that’s talked about in public debate, but this is a very powerful and widespread sector of the global economy, and it’s a source that we can draw upon. If we’re talking about a sharing economy, this is the gold standard, the co-operative economy. Meanwhile we can also draw on practices that have developed from tech culture that contribute to and develop the tradition of co-operative enterprize.”
Nathan’s keynote presentation can be heard in full here.

A great overview of ‘Building the Commons Economy’ by @PaulaSgherza
A panel of local innovators including Serenity Hill (Open Food Network), Eric Doriean (AnyShare) and Antony McMullen (Employee Ownership Australia and New Zealand) came together with Nathan to discuss how the Commons Economy is taking shape in Australia. The panel discussion can be heard here.

Panel featuring Nathan Schneider, Serenity Hill, Eric Doriean, Antony McMullen and Darren Sharp.
The second half of the event was a Design Lab facilitated by co-convener Jose Ramos for AbilityMate, a Sydney-based social enterprise creating affordable assistive devices for people with a disablity using open design and 3D printing. The Design Lab was run to help co-founders Mel Fuller and Johan du Plessis and designer Kin Ly collaboratively workshop ideas in development and seek fedback from fellow practitioners related to funding and scaling their social enterprise.

### Data records, as found in the file
Record 1
This record from the Open Molecules 2025 dataset describes one molecule with the formula C5H9NO2. The level of theory is the ωB97M-V functional and the def2-TZVPD basis.

Properties
SMILES: C/C(=C\CN)C(=O)O
Strongest force on any atom in Eh/bohr: 0.0898
LUMO energy in eV: 0.5
Orbital gap in eV: 9.9

Positions of all 17 atoms, in Å:
C (-0.482, 1.242, -0.570)
C (-0.747, -0.140, -0.077)
C (0.038, -1.213, 0.186)
C (1.646, -1.048, 0.132)
N (2.148, 0.320, 0.049)
C (-2.260, -0.310, -0.072)
O (-2.796, -1.063, -0.909)
O (-3.004, 0.339, 0.908)
H (-1.541, 1.480, -0.956)
H (0.403, 1.204, -1.427)
H (0.029, 2.180, 0.074)
H (-0.540, -2.147, 0.777)
H (1.880, -1.256, 1.191)
H (2.051, -1.689, -0.643)
H (3.059, 0.709, 0.687)
H (2.500, 0.559, -0.923)
H (-2.384, 0.831, 1.572)

Atom charges from the natural (NBO) analysis, given in e for atoms 1 to 6: -0.668 -0.175 -0.148 -0.254 -0.876 0.760

Record 2
This record from the Open Molecules 2025 dataset describes C5H9NO2 as an isolated structure. The level of theory is the ωB97M-V functional and the def2-TZVPD basis.

Properties
Strongest force on any atom in Eh/bohr: 0.0672
LUMO energy (spin up / spin down) in eV: -1.2 / -1.2
Orbital gap (spin up / spin down) in eV: 7.0 / 7.0

Positions of all 17 atoms, in Å:
C (0.860, -0.896, 0.486)
C (-0.197, -0.507, 1.422)
C (1.169, 1.468, -0.842)
C (0.325, 0.213, -0.844)
C (-2.179, 0.236, 0.072)
O (0.759, -2.221, 0.056)
N (-1.003, 0.557, 0.475)
O (-0.009, -0.320, -1.901)
H (0.431, -2.228, -0.863)
H (1.878, -0.588, 0.721)
H (-0.921, -1.277, 1.685)
H (0.181, 0.009, 2.303)
H (0.675, 2.213, -1.472)
H (1.279, 1.865, 0.168)
H (2.146, 1.254, -1.277)
H (-2.350, -0.479, -0.737)
H (-3.045, 0.700, 0.548)

Atom charges from the natural (NBO) analysis, given in e for atoms 1 to 6: -0.044 -0.170 -0.693 0.590 0.166 -0.728

Record 3
This record from the Open Molecules 2025 dataset describes one molecule with the formula C5H9NO2. The level of theory is the ωB97M-V functional and the def2-TZVPD basis.

Properties
SMILES: N/C(O)=C\CCC=O
Strongest force on any atom in Eh/bohr: 0.0936
LUMO energy in eV: 0.1
Orbital gap in eV: 8.4

Positions of all 17 atoms, in Å:
N (-1.980, 0.482, -0.026)
C (-0.673, 0.953, 0.110)
O (-0.495, 2.301, -0.125)
C (0.223, 0.338, 0.984)
C (0.381, -1.133, 1.120)
C (1.212, -1.219, -0.160)
C (0.462, -0.156, -1.291)
O (1.147, 0.602, -1.987)
H (-2.501, 1.087, -0.655)
H (-2.464, 0.421, 0.865)
H (0.209, 2.332, -0.809)
H (1.085, 0.935, 1.269)
H (-0.567, -1.663, 1.023)
H (0.928, -1.417, 2.021)
H (2.243, -0.898, -0.023)
H (1.154, -2.194, -0.638)
H (-0.364, -0.771, -1.676)

Atom charges from the natural (NBO) analysis, given in e for atoms 1 to 6: -0.853 0.366 -0.704 -0.113 -0.467 -0.465

Record 4
This record from the Open Molecules 2025 dataset describes an isolated ion of composition C5H9NO2 and charge +1. The level of theory is the ωB97M-V functional and the def2-TZVPD basis.

Properties
Total charge: +1
Strongest force on any atom in Eh/bohr: 0.0996
### Back to the text

Jose Ramos introducing Kin, Johan and Mel from AbilityMate.
Human-centred design was used to understand the key design challenges (pain points) faced by AbilityMate, identify opportunity areas and create a series of how might we questions used for brainstorming and ideation.
Seminar participants were given three How Might We Questions to brainstorm together in small groups:
- How might we attract and scale investment from $500,000 in 2 years to $30 million in 4 years, while maintaining co-op principles of equal voting power and fair return on investment? (There are constraints around equity crowd funding in Australia. If an entity has more than 50 shareholders that aren’t employees it has to be publicly listed, which has very onerous protocols and tax implications).
- How might we use the cooperative model to both support AbilityMate’s social impact mission and remain globally competitive (access to capital, markets, customers and speed)?
- How might we run and find funding to test an AbilityMate platform co-op trial which includes investors, employees, customers and founders in order to validate/prove the benefits of platform co-ops?
The Design Lab group presentations can be heard in full here.

Design Lab with AbilityMate on converting to a platform co-operative.
This event was part of a global conversation about the future of value, ownership and governance in the emerging platform economy. The Melbourne workshop explored how social enterprizes like AbilityMate can become platform co-ops and developed practical ideas for how ventures can attract investment and support while maintaining their social mission. These discussions are relevant to any organization developing commons-based solutions to ensure that prosperity and decision-making can be shared between value creators working together for mutual benefit and the transition to a more equitable platform economy.
Nathan’s Australian visit also included a public seminar on platform cooperativism at ACMI in Melbourne with Janelle Orsi on 7th June.
I look forward to sharing details of Australia’s evolving cooperative platform ecosystem at the second platform cooperativism conference being held in New York 11-13 November.
Photo by aKs_phOtOs (Pixabay)